Given =
____________
No. 1
ORCA calculation (ωB97M-V with the def2-TZVPD basis set) on a molecular structure, C4H7BrMoOS3.

Structure (XYZ):
```
17
C4H7BrMoOS3, DFT ωB97M-V with the def2-TZVPD basis set
Mo 1.164 0.746 1.372
S 1.410 3.931 2.076
C 0.564 2.821 1.230
S 3.234 0.776 0.798
S -0.667 2.808 0.123
C 0.455 -1.003 -1.576
C -0.393 -1.235 -0.324
C -1.890 -1.071 -0.598
O 0.036 -0.318 0.618
H 0.261 -1.760 -2.329
H 1.517 -1.022 -1.315
H 0.218 -0.016 -1.975
H -0.207 -2.245 0.092
H -2.088 -0.097 -1.043
H -2.437 -1.159 0.339
H -2.231 -1.837 -1.286
Br 1.054 0.679 3.798
```

Output
Total charge ... 0
Energy relative to the best compared isomer or geometry (same formula, charge and spin) ... 14.0 kcal per mole
HOMO (spin up / spin down) ... -8.5903 / -8.5915 eV
Multiplicity ... 3
HOMO-LUMO gap (spin up / spin down) ... 7.0736 / 5.9688 eV



No. 2
ORCA calculation (ωB97M-V with the def2-TZVPD basis set) on a single C16H20ClN3O6S molecule.

Structure (XYZ):
```
47
C16H20ClN3O6S, DFT ωB97M-V with the def2-TZVPD basis set
C -6.780 -1.972 0.688
C -6.040 -0.818 1.348
O -4.655 -0.815 1.007
C -4.348 -0.266 -0.193
O -5.157 0.258 -0.921
N -3.033 -0.400 -0.494
C -2.034 -0.875 0.433
C -1.183 0.292 0.941
C -0.558 1.029 -0.246
N 0.259 2.129 0.226
S 1.518 2.603 -0.755
O 1.245 2.296 -2.129
O 1.857 3.945 -0.401
C 2.810 1.486 -0.204
C 3.394 0.633 -1.121
C 4.417 -0.218 -0.729
C 4.862 -0.186 0.602
C 4.262 0.662 1.522
C 3.229 1.497 1.115
Cl 2.482 2.551 2.232
N 5.939 -0.989 0.959
C 6.477 -1.934 0.141
O 7.448 -2.581 0.445
C 5.701 -2.151 -1.152
O 5.004 -1.024 -1.650
C -1.649 1.481 -1.220
C -2.497 0.283 -1.652
H -7.814 -1.980 1.022
H -6.759 -1.851 -0.392
____________

Assignment =
The reader should quote the lines further above from the one with "2.076" to the one with "-2.497 0.283" unchanged.

Worked solution =
S 1.410 3.931 2.076
C 0.564 2.821 1.230
S 3.234 0.776 0.798
S -0.667 2.808 0.123
C 0.455 -1.003 -1.576
C -0.393 -1.235 -0.324
C -1.890 -1.071 -0.598
O 0.036 -0.318 0.618
H 0.261 -1.760 -2.329
H 1.517 -1.022 -1.315
H 0.218 -0.016 -1.975
H -0.207 -2.245 0.092
H -2.088 -0.097 -1.043
H -2.437 -1.159 0.339
H -2.231 -1.837 -1.286
Br 1.054 0.679 3.798
```

Output
Total charge ... 0
Energy relative to the best compared isomer or geometry (same formula, charge and spin) ... 14.0 kcal per mole
HOMO (spin up / spin down) ... -8.5903 / -8.5915 eV
Multiplicity ... 3
HOMO-LUMO gap (spin up / spin down) ... 7.0736 / 5.9688 eV



No. 2
ORCA calculation (ωB97M-V with the def2-TZVPD basis set) on a single C16H20ClN3O6S molecule.

Structure (XYZ):
```
47
C16H20ClN3O6S, DFT ωB97M-V with the def2-TZVPD basis set
C -6.780 -1.972 0.688
C -6.040 -0.818 1.348
O -4.655 -0.815 1.007
C -4.348 -0.266 -0.193
O -5.157 0.258 -0.921
N -3.033 -0.400 -0.494
C -2.034 -0.875 0.433
C -1.183 0.292 0.941
C -0.558 1.029 -0.246
N 0.259 2.129 0.226
S 1.518 2.603 -0.755
O 1.245 2.296 -2.129
O 1.857 3.945 -0.401
C 2.810 1.486 -0.204
C 3.394 0.633 -1.121
C 4.417 -0.218 -0.729
C 4.862 -0.186 0.602
C 4.262 0.662 1.522
C 3.229 1.497 1.115
Cl 2.482 2.551 2.232
N 5.939 -0.989 0.959
C 6.477 -1.934 0.141
O 7.448 -2.581 0.445
C 5.701 -2.151 -1.152
O 5.004 -1.024 -1.650
C -1.649 1.481 -1.220
C -2.497 0.283 -1.652